Activity:
Please transcribe the part of the block underneath that starts with the line with "-0.26119 0.81905" and stops after the one with "-0.02459 0.0235".

Listing:
+++
Here is a molecular structure, C18H14Cl3N4O2Zr from the Open Molecules 2025 dataset. Energies are from ωB97M-V/def2-TZVPD.

Geometry as XYZ:
```
42
Properties=species:S:1:pos:R:3:lowdin_charge:R:1
Zr -0.21220 -0.57066 -0.11822 2.0223
Cl -3.14365 -4.30632 1.01339 0.7585
Cl -0.35211 -5.04044 1.63658 0.8033
Cl -1.15633 -4.79720 -1.12538 0.7042
O -1.82227 -1.88595 0.37154 -0.1086
O 0.21900 -2.51157 0.32739 -0.2030
N 1.34633 -1.06966 -1.77464 -0.0246
N 0.55197 0.98656 -2.68989 0.2201
N 0.44595 0.30780 1.71944 -0.1236
N -0.26119 0.81905 -1.77714 -0.1448
C -3.30160 1.78660 -0.02459 0.0235
C 0.56120 2.15668 3.23700 0.0086
C 0.84662 1.29423 4.27926 0.0319
C 0.40837 1.65445 1.98766 -0.0655
C 1.48880 -0.15681 -2.76630 -0.2362
C -1.43866 -4.27470 0.59490 -1.5327
C -0.98750 3.11735 -1.00974 0.0129
C -1.00256 -2.84245 0.46410 -0.7844
C 3.26093 -2.23732 -2.72625 0.0466
C 3.37588 -1.26937 -3.66698 0.0285
C -2.28896 1.07186 -0.70982 -0.1003
C 0.58905 -0.53318 2.77369 -0.0827
C 2.21810 -2.09032 -1.73910 -0.0119
C 0.87206 -0.07610 4.06113 0.0176
C 2.51478 -0.11399 -3.73985 0.1261
C -1.17311 1.76486 -1.19912 -0.2951
C -1.99666 3.81556 -0.38571 0.0036
C -3.12845 3.17169 0.03146 -0.0013
H -1.94365 4.87974 -0.33852 0.1393
H 0.49808 3.18508 3.45674 0.1297
H -4.16736 1.26093 0.44093 0.1558
H 4.21367 -1.25100 -4.36995 0.1498
H -0.18787 3.62405 -1.48412 0.1334
H 3.90458 -3.10630 -2.69955 0.1435
H 0.21044 2.22467 1.14288 0.0825
H 0.38442 -1.60262 2.73103 0.1284
H 2.53183 0.65174 -4.44723 0.1218
H 1.22674 1.70671 5.28074 0.1810
H -2.52637 0.02654 -1.11392 0.1494
H 1.21928 -0.81033 4.82043 0.1571
H -3.95600 3.72971 0.43635 0.1389
H 2.15845 -2.68955 -0.90064 0.0965
```

E_LUMO	-12.02	eV
HOMO energy	-0.7045	hartree
net charge	+3
F_max	4.9	eV/A

=====

Density functional theory data (ωB97M-V/def2-TZVPD) for a 2-piece molecular cluster, C2H7NO3 overall.

XYZ file:
```
13
Properties=species:S:1:pos:R:3
O -0.64263 -2.49643 1.00058
C -0.30810 -1.77358 0.00543
N -0.27056 -0.44433 0.10504
C -0.79816 0.07108 1.32544
O -0.92230 1.44114 1.75858
H 0.21442 -2.18218 -0.91669
H 0.03412 0.06801 -0.70017
H -0.28097 -0.43320 1.98295
H -1.76782 -0.44419 1.44296
H -0.69158 2.17983 1.21361
O 2.24246 2.28186 -3.36174
H 2.65833 2.21926 -4.25806
H 2.94471 2.10518 -2.66430
```

## Properties
HOMO in eV: -9.82
Spin multiplicity: 1
Kohn-Sham gap in eV: 10.12
SMILES: O=CNCO.O

These are the natural (NBO) partial charges, in e, on atoms 1 to 6: number 1, O, carries -0.64; number 2, C, carries 0.49; number 3, N, carries -0.61; number 4, C, carries 0.10; number 5, O, carries -0.72; number 6, H, carries 0.13

=====

Density functional theory data (ωB97M-V/def2-TZVPD) for a 2-piece molecular cluster, C2H7NO3 overall.

XYZ file:
```
13
Properties=species:S:1:pos:R:3
O -0.23850 2.21543 0.32433
C 0.49928 1.85599 -0.59363
N 0.72949 0.47834 -0.53087
C 0.29678 -0.28809 0.78818
O 0.99170 -1.53273 0.51257
H 1.06086 2.38618 -1.30966
H 1.28213 -0.05105 -1.09070
H 0.48816 0.29136 1.66009
H -0.74560 -0.71053 0.56794
H 1.84574 -1.65384 0.79137
O -2.45734 -0.80219 -0.33699
H -1.93037 -1.32957 0.24701
H -1.82232 -0.85931 -1.02965
```

## Properties
HOMO in eV: -9.94
Spin multiplicity: 1
Kohn-Sham gap in eV: 10.50
SMILES: O=CNCO.O

These are the natural (NBO) partial charges, in e, on atoms 1 to 6: number 1, O, carries -0.61; number 2, C, carries 0.51; number 3, N, carries -0.65; number 4, C, carries 0.11; number 5, O, carries -0.75; number 6, H, carries 0.14

=====

Density functional theory data (ωB97M-V/def2-TZVPD) for a 2-piece molecular cluster, C2H7NO4 overall.

XYZ file:
```
14
Properties=species:S:1:pos:R:3
C -2.06768 0.55264 1.52207
C -0.87120 0.57557 0.95016
O 0.31430 0.51707 1.63512
O -0.68587 0.64704 -0.37631
H -2.95374 0.60146 0.92293
H -2.17856 0.49009 2.58759
H 0.14168 0.47657 2.58070
H 0.28209 0.66722 -0.54706
N 0.86408 -1.37807 -2.21916
O 1.79365 -1.26130 -1.28911
O 2.00148 0.15841 -0.83085
H 1.10841 -0.94221 -3.10481
H -0.07419 -1.14015 -1.90069
H 2.32554 0.03566 0.06943
```
+++

Solution:
N -0.26119 0.81905 -1.77714 -0.1448
C -3.30160 1.78660 -0.02459 0.0235